Your Stupidest Moment in Gaming


New member
Mar 19, 2008
We've all done something completely and utterly bone-headed at some point in our gaming lives. What was YOUR stupidest moment in gaming?

For me it was while playing Arcanum. I was trying to make Magnus "use" a book because he wasn't leveling up a certain skill and I thought that using the book would let him make a certain type of cool armour for me (Arcanum is an RPG, and you can't control how the NPCs like Magnus level up). Little did I know that you can't make NPCs use books, only the PC can use them. Well, that didn't stop me from trying everything I could think of.

Eventually it hit me! "I know!", I thought, "I'll equip the book on my hot-key bar and "use" it on Magnus. That'll work!" So I dragged the book down to the hotkey bar, clicked it, then clicked on Magnus... And promptly hucked the book right at his head. I knocked him right the hell out, too. From 50 to 0 endurance in one shot. Randy Johnson didn't have an arm like my half-ogre. Magnus was a wee bit pissed after that, and promptly attacked me when he eventually regained consciousness.

Sinclair Solutions

New member
Jul 22, 2010
God has there been too many to count. Here's the most recent one: I once spent an hour an a half looking for a sniper scope in some fetch quest in Borderlands. Turns out it was behind the building I searched about 9 times. Never thought to look behind the building.

Here's my personal favorite. I built this badass house in Minecraft. It was nestled into a mountain and surrounded by a wall. I decided I wanted to build a lava moat. Due to some pretty heavy lag, I end of falling into the lava and dying. I respawn, and it turns out I don't remember what island my fucking house is on. I spend 5 hours looking for it and wasn't even close to finding it. Now I just build my house on the spawn island.

== Inserted here: crystal structures ==
........
Here is a relaxed BeCu2Sb crystal from the Alexandria database. Energies are from GGA-PBEsol.

Cell: 4.665 4.665 4.665 Å, 131.88 131.88 70.42°
Positions (direct):
1 Be 0.000 0.000 0.000
2 Cu 0.500 0.500 0.000
3 Cu 0.750 0.250 0.500
4 Sb 0.250 0.750 0.500

Values from the calculation:
The density of states at the Fermi level is 0.28 states/eV/atom. The calculation puts the final energy at -4.06 eV/atom. As for the formation energy from raw total energies: 0.248 eV/atom. The value obtained for the total magnetic moment is 0.00 μB per cell.

---

Here is a relaxed Be2CuSb crystal from the Alexandria database. Energies are from GGA-PBEsol.

Cell: 8.210 8.210 8.210 Å, 152.66 152.66 39.05°
Positions (direct):
1 Be 0.024 0.625 0.899
2 Be 0.375 0.274 0.399
3 Be 0.726 0.125 0.101
4 Be 0.875 0.976 0.601
5 Cu 0.000 0.000 0.000
6 Cu 0.750 0.250 0.500
7 Sb 0.250 0.750 0.500
8 Sb 0.500 0.500 0.000

Values from the calculation:
The density of states at the Fermi level is 0.41 states/eV/atom. The calculation puts the final energy at -3.86 eV/atom. As for the formation energy from raw total energies: 0.358 eV/atom. The value obtained for the total magnetic moment is 0.00 μB per cell.

---

Here is a relaxed BeCuSb2 crystal from the Alexandria database. Energies are from GGA-PBEsol.

Cell: 6.702 6.702 6.702 Å, 31.46 31.46 31.46°
Positions (direct):
1 Be 0.000 0.000 0.000
2 Cu 0.500 0.500 0.500
3 Sb 0.254 0.254 0.254
4 Sb 0.746 0.746 0.746

Values from the calculation:
The density of states at the Fermi level is 0.42 states/eV/atom. The calculation puts the final energy at -4.12 eV/atom. As for the formation energy from raw total energies: 0.241 eV/atom. The value obtained for the total magnetic moment is 0.00 μB per cell.

---

Here is a relaxed BeCuSb2Te crystal from the Alexandria database. Energies are from GGA-PBEsol.

Cell: 4.767 4.767 4.968 Å, 90.00 90.00 90.00°
Positions (direct):
1 Be 0.000 0.000 0.000
2 Cu 0.500 0.500 0.500
3 Sb 0.000 0.500 0.000
4 Sb 0.500 0.000 0.000
5 Te 0.000 0.000 0.500

Values from the calculation:
The density of states at the Fermi level is 0.65 states/eV/atom. The calculation puts the final energy at -3.48 eV/atom. As for the formation energy from raw total energies: 0.716 eV/atom. The value obtained for the total magnetic moment is 0.00 μB per cell.

---

Here is a relaxed ScBeCu crystal from the Alexandria database. Energies are from GGA-PBEsol.

Cell: 4.194 4.194 4.194 Å, 60.00 60.00 60.00°
Positions (direct):
1 Sc 0.000 0.000 0.000
2 Be 0.750 0.750 0.750
3 Cu 0.250 0.250 0.250

Values from the calculation:
The density of states at the Fermi level is 0.81 states/eV/atom. The calculation puts the final energy at -4.26 eV/atom. The value obtained for the formation energy from the elements is 723 meV/atom. The value obtained for the total magnetic moment is 0.00 μB per cell.

---

Here is a relaxed ScBe2Cu crystal from the Alexandria database. Energies are from GGA-PBEsol.

Cell: 8.077 8.077 8.077 Å, 151.84 151.84 40.25°
........
== The page goes on ==


Arctic fox and BACON lover
Jun 13, 2009
Every damn time I threw a grenade against a wall, bounces back to my feet and detonates.


New member
Apr 10, 2011
Oh man, I know I have plenty but I can't think of any right on the spot, it happens every time I stumble upon a thread like this. Let me get back to you on this.
EDIT: Okay, I can remember this one time when I was playing Shadow of the Colossus, I spent an hour looking to find the next Colossus, when all I needed to do was cross a bridge.


New member
Feb 27, 2010
In Minecraft I built an awesome, big ass house type thing. It wasn't quite finished yet though, and it was getting dark. I decided to go back inside one of my other buildings to sleep and skip the night, but I forgot to put some light inside my unfinished building.

I came back the next day, opened the door, and waiting for me inside were 4 motherfucking creepers.

Yep. 4 of them. A whole squad. They all exploded and my building was basically gone.


New member
Dec 11, 2010
I have to say it's a tie between 2 incidents. The first was during Blood Omen 2, in the level after the first boss. I came out of the sewers & couldn't find where to go next. I searched & searched, but eventually died from having no one to feed on. It took me forever to realize I was supposed to climb up the clearly visible ledge behind me & onto the roof.

The second incident was during Minecraft. I got the brilliant idea to build a fireplace inside my house. I thought it was safe since I used bricks to make it. It was only after I set the logs on fire that I realized the floors above me were burning. Needless to say I had to rebuild most of my house.


New member
Jan 3, 2011
Let me think, theres been so many. There's tghe one time I rpg'd wy whole team on MW2 by accident, in fallout I once tried to stealth my way into a raider hideout... only to find my way into a room full of them, oh and there was the time on bioshock when I accidentally hit not one but two big daddys. Needless to say they wiped the floor with my dumbass.


New member
Apr 4, 2011
Too many to remember. Mostly in puzzle games where the answer is in plain sight.


New member
Apr 2, 2011
Sort of an ongoing one, but...
I always forget to synchronise viewpoints before jumping off them in Assassin's Creed 2/Brotherhood.
I didn't have this problem in the first one, though.


New member
Dec 29, 2010
mazzjammin22 said:
God has there been too many to count. Here's the most recent one: I once spent an hour an a half looking for a sniper scope in some fetch quest in Borderlands. Turns out it was behind the building I searched about 9 times. Never thought to look behind the building.

Here's my personal favorite. I built this badass house in Minecraft. It was nestled into a mountain and surrounded by a wall. I decided I wanted to build a lava moat. Due to some pretty heavy lag, I end of falling into the lava and dying. I respawn, and it turns out I don't remember what island my fucking house is on. I spend 5 hours looking for it and wasn't even close to finding it. Now I just build my house on the spawn island.
I've done that sniper quest with one of my friends, and each time we forget where the last part is.
OT: I would have to say my first time playing Fallout 3. I was worse then Tobuscus, and not on purpose. I didn't use VATs, and went to springvale elementary in the beginning.It was essentially me stabbing raiders with a knife in third person because I had no idea how to switch back to first. And thinking the game devs misspelled "outnumbered", which made me think there wasn't a weight limit. I think I eventually escaped, but not before dying more times then I would after I actually got the hang of things. Prior to that, I got murdered by Mirelurks, and thought they were super mutants.
Edit: And my first time playing Red Dead. I thought I knew a faster route one time, and followed it. I was going as fast as possible and didn't see the cliff until it was too late.


New member
Jan 17, 2011
I forget which game, but I got stuck in a puzzle room. Turns out it wasn't a puzzle, the door was unlocked the whole time.


New member
Mar 4, 2011
Best one I can think of was a while back. Had been playing Team Fortress 2 again for a couple month. I was really, /really/ tired though, so when it kept saying "Your intelligence has been dropped", I took it as an insult. Repeatedly. Thought it had some sort of ranking system based on how smart you played or something, and I was losing. (Custom rules server, mind.)

This took me about ten minutes to figure out.

My intelligence has been dropped.


New member
Mar 26, 2010
Best one i can think of was my first kara raid on wow, i was following a mage and he jumped of a staircase so i did as well. Problem was he put slow fall on himself and i just fell to my death, best bit was watching everyone else in the group follow me to there death and the gm asking why everyone was dying. ^^


I am Tizzy's Willing Slave
Aug 3, 2009
On the one level in Mass Effect 2 where your not allowed to go into the sun else your shields will be drained. yeah I didn't catch that part and I kept dying over and over again and I didn't understand why my shields kept going down even though the shields only went down in the sunlight I still couldn't put 1 and 1 together for awhile.


New member
Jul 2, 2008
Most recent was Portal 2.

Chapter 2.

Spending appx 20 minutes walking around a test chamber absolutely stumped. I needed a cube, but there wasn't a cube to be found. I LOOKED EVERYWHERE. Was getting frustrated. Turned around, walked around the tall, cylindrical object in my path, and then still needed another minute or two to register the Giant Red Button on a Post I kept walking around that would drop my badly needed cube.

Easily my stupidest moment.



Senior Member
Jul 6, 2010
When I was playing the Armory of Knox DLC for Borderlands, I had gotten to the point after you get a race car sort of thing and you have to get through a bunch of crimson lance roadblocks, one of the roadblocks I couldn't get my vehicle through so I had to go by foot. When I was done killing all these crimson lance guys I went up to the end of the roadblock and it looked like I wouldn't be able to get through, so I spent the next 3 hours trying to find a way through, so I ended up asking my brother who had played it earlier how to get through. He told to go to the part where I thought I couldn't get through and then he told me to turn and look to the right, ends up there were stairs that went up onto the side of the roadblock and then took me past before going to this underground place where I had to kill this giant robot. God, if only i had turned my stupid character's head to the right 3 hours earlier I could have saved myself from all the headache.


New member
Mar 19, 2008
I have another stupid moment to report...

This one takes place in Everquest, where my level 1 noob Troll was farting around the troll starting zone. I got in trouble and started running to the guards. There was a human in chainmail standing by the side of the wall and I thought, "aha! a fellow player! he'll help me!" I ran past screaming, "HELP!", repeatedly. The human did nothing and I died. I respawned outside and went to retrieve my corpse at the foot of this unhelpful human. After looting my body, I proceeded to weave a tapestry of obscenity, all directed at this s.o.b. About 2 seconds later, he hauled off and pimp slapped me into the next zone. I respawned again and started asking people, "Am I flagged for pvp? Because some other player just beat the crap out of me." The responses were unanimous. "Is the guy who kicked the crap out of you a human in chainmail armour near the wall of the swamp?", they asked. "Yes", I replied.

"LOL, He's an NPC, you noob!"

I can laugh now, but I was rather red faced at the time. :)